Soviet Union and the West/

History of science

• What comes next are records of crystals, not part of the text:
-- begin --
The following is a DFT calculation (r2SCAN) of a relaxed structure of Er5Si2Sb2.

abc: 8.405 8.405 7.787
angles: 90.00 90.00 124.97
Sites, in units of the cell vectors:
Er 0.960 0.710 0.665
Er 0.460 0.210 0.835
Er 0.210 0.460 0.835
Er 0.040 0.290 0.335
Er 0.000 0.000 0.000
Er 0.790 0.540 0.165
Er 0.710 0.960 0.665
Er 0.540 0.790 0.165
Er 0.500 0.500 0.500
Er 0.290 0.040 0.335
Si 0.866 0.866 0.367
Si 0.634 0.634 0.867
Si 0.134 0.134 0.633
Si 0.366 0.366 0.133
Sb 0.705 0.295 0.500
Sb 0.205 0.795 0.000
Sb 0.795 0.205 0.000
Sb 0.295 0.705 0.500

Computed properties:
ΔH_f (0 K) (eV/atom): -1.034
Space-group type: No. 64

=====

The following is a DFT calculation (r2SCAN) of a relaxed structure of NbSeBr3.

abc: 7.136 6.855 12.708
angles: 81.62 90.00 90.00
Sites, in units of the cell vectors:
Br 0.314 0.148 0.960
Br 0.569 0.246 0.195
Br 0.686 0.148 0.460
Br 0.431 0.246 0.695
Br 0.224 0.637 0.078
Br 0.686 0.852 0.040
Br 0.314 0.852 0.540
Br 0.431 0.754 0.805
Br 0.224 0.363 0.422
Br 0.776 0.363 0.922
Br 0.776 0.637 0.578
Br 0.569 0.754 0.305
Se 0.899 0.157 0.702
Se 0.101 0.843 0.298
Se 0.101 0.157 0.202
Se 0.899 0.843 0.798
Nb 0.634 0.930 0.650
Nb 0.366 0.930 0.150
Nb 0.366 0.070 0.350
Nb 0.634 0.070 0.850

Computed properties:
ΔH_f (0 K) (eV/atom): -0.982
Space-group type: No. 13

=====

The following is a DFT calculation (r2SCAN) of a relaxed structure of Nb2ReTc.

abc: 4.519 4.519 4.519
angles: 60.00 60.00 60.00
Sites, in units of the cell vectors:
Nb 0.750 0.750 0.750
Nb 0.250 0.250 0.250
Re 0.500 0.500 0.500
Tc 0.000 0.000 0.000

Computed properties:
ΔH_f (0 K) (eV/atom): -0.362
Space-group type: No. 225

=====

The following is a DFT calculation (r2SCAN) of a relaxed structure of GdBO3.

abc: 3.931 3.931 8.640
angles: 90.00 90.00 113.14
Sites, in units of the cell vectors:
Gd 0.941 0.941 0.500
Gd 0.941 0.941 0.000
O 0.334 0.673 0.606
O 0.142 0.003 0.250
O 0.334 0.673 0.894
O 0.003 0.142 0.750
O 0.673 0.334 0.106
O 0.673 0.334 0.394
B 0.508 0.235 0.250
B 0.235 0.508 0.750

Computed properties:
ΔH_f (0 K) (eV/atom): -3.244
Space-group type: No. 40

=====

The following is a DFT calculation (r2SCAN) of a relaxed structure of PuS.

abc: 3.984 3.984 3.984
angles: 60.00 60.00 60.00
Sites, in units of the cell vectors:
Pu 0.000 0.000 0.000
S 0.500 0.500 0.500

Computed properties:
ΔH_f (0 K) (eV/atom): -2.138
Space-group type: No. 225

=====

The following is a DFT calculation (r2SCAN) of a relaxed structure of KTi4O8.

abc: 2.983 7.316 7.315
angles: 87.61 78.23 78.24
Sites, in units of the cell vectors:
Ti 0.849 0.485 0.817
Ti 0.666 0.183 0.485
Ti 0.151 0.515 0.183
Ti 0.334 0.817 0.515
O 0.655 0.644 0.045
O 0.299 0.046 0.356
O 0.701 0.954 0.644
O 0.334 0.627 0.706
O 0.345 0.356 0.955
O 0.666 0.373 0.294
O 0.961 0.706 0.373
O 0.039 0.294 0.627
K 0.000 0.000 0.000

Computed properties:
ΔH_f (0 K) (eV/atom): -3.186
Space-group type: No. 87
-- stop --

A day passes not here at Colby before I can see people acting superior to others because they are taking a number of science classes per semester, having a number of science labs where they will have to write a report each week on some hardcore science class. You are taking those five science classes, I am taking four social science classes so who is better that the other one? Do we need one without the other? These are the questions that I ask myself while trespassing the Colby’s campus every day. One field can’t be important without the other and all fields needs to be embraced.

[Materials data, kept here for reference]
=====
Material: HoI3O9
Method: DFT, GGA-PBE
State: relaxed

Cell and atoms, written as POSCAR:
```
HoI3O9
1.0
-4.014 2.968 3.369
-3.815 -7.602 2.153
6.084 -7.220 13.611
O I Ho
36 12 4
direct
0.900 0.094 0.829 O
0.428 0.352 0.559 O
0.618 0.887 0.969 O
0.006 0.361 0.365 O
0.182 0.343 0.744 O
0.031 0.392 0.881 O
0.056 0.061 0.307 O
0.572 0.648 0.441 O
0.072 0.352 0.059 O
0.944 0.939 0.693 O
0.400 0.906 0.671 O
0.928 0.648 0.941 O
0.382 0.113 0.031 O
0.556 0.939 0.193 O
0.494 0.361 0.865 O
0.914 0.343 0.611 O
0.600 0.094 0.329 O
0.877 0.126 0.012 O
0.377 0.874 0.488 O
0.444 0.061 0.807 O
0.682 0.657 0.756 O
0.531 0.608 0.619 O
0.506 0.639 0.135 O
0.623 0.126 0.512 O
0.469 0.392 0.381 O
0.818 0.657 0.256 O
0.318 0.343 0.244 O
0.882 0.887 0.469 O
0.414 0.657 0.889 O
0.969 0.608 0.119 O
0.086 0.657 0.389 O
0.994 0.639 0.635 O
0.586 0.343 0.111 O
0.123 0.874 0.988 O
0.118 0.113 0.531 O
0.100 0.906 0.171 O
0.189 0.075 0.645 I
0.904 0.419 0.699 I
0.648 0.355 0.479 I
0.689 0.925 0.855 I
0.148 0.645 0.021 I
0.311 0.075 0.145 I
0.596 0.419 0.199 I
0.811 0.925 0.355 I
0.352 0.645 0.521 I
0.404 0.581 0.801 I
0.096 0.581 0.301 I
0.852 0.355 0.979 I
0.720 0.855 0.603 Ho
0.220 0.145 0.897 Ho
0.280 0.145 0.397 Ho
0.780 0.855 0.103 Ho
```

Summary:
Formation energy = -1.49 eV per atom
Space-group type = P2_1/c, No. 14
=====
[Back to the text]

This week we had Professor Elena Aronova come to Colby to speak about the history of science in the Soviet Union and the West during the Cold War. She talked about emphasize of science in the East and the West as they try to clinch the lead in scientific revolution and supremacy. Neither the Soviet nor the United States would want to be seen as the lesser one in Science. The Society had communist Academy which was Marxist research and study. By the mid-twenties, the Communist Academy was transformed into the Scientific-methodological center. Later the same institute petition for an establishment of the Institute for History of Science. This was in line of fostering the science culture in the East. The successful testing of hydrogen bomb gained more prestige. This was in some way showed some level of technological advancements in the east.

Professor Elena said that the scientific revolution started around the 17th century. She corroborated what we had been talking about origin that most of the things that we might be looking at is more of like an advancement from what has been there before. Professor Elena considered the Darwinian Theory as not really progress but she call it change. She thinks that the effects of the Second World War, Hiroshima and Nagasaki will never be forgotten in our history where thousands of people died from than Bomb attack.

She drew our attention to the scientific revolution and the political evolution that came with this. Each country would want to have power by being technologically advanced by employing a lot of sciences to be seen as advanced. From the scientific supremacy that the two regions wanted to be seen as one which was a head, I was reflecting in the need of people with specific skills in the world today. Countries have different policies on immigrants depending on the kind of skills that the country needs. I was asked the professor Aronova in class if she thought we are still in that state of trying to see who has advanced a lot from the scientific world now between the East and the West. I was thinking of varying amount of time international students taking different courses get to practice here in the US after graduation. The students who graduated from the STEM subjects gets around three years to practice in the stem field, which is mostly Science and computer science and Math which none-stem, international students only have one year to practice what they have learnt. This discrepancy then I think is still the need to advance the country in the scientific field that makes countries to have different policies to meet their needs.

### Records of crystals that have nothing to do with the piece
____________
1.
# LiYMo3O8

A relaxed structure of LiYMo3O8 (PBE with a Hubbard U, the Materials Project).

Structure (POSCAR):
```
LiYMo3O8
1.0
3.141 -5.440 0.000
3.141 5.440 0.000
0.000 0.000 4.963
Li O Mo Y
1 8 3 1
Cartesian
0.000 0.000 3.393 Li
3.141 -3.780 2.394 O
3.141 1.813 2.306 O
3.141 0.043 0.207 O
0.000 0.000 0.202 O
4.844 -0.830 2.394 O
4.674 2.698 0.207 O
1.608 2.698 0.207 O
1.437 -0.830 2.394 O
1.596 0.921 1.229 Mo
3.141 3.597 1.229 Mo
4.686 0.921 1.229 Mo
3.141 -1.813 3.712 Y
```

Calculated values
**DFT total energy**: -7.4121 eV/atom
**M_tot**: 6.00 μB per cell
**ΔE_f**: -2.382 eV/atom
**Crystal system**: trigonal

2.
# LiYMo2O8

A relaxed structure of LiYMo2O8 (PBE with a Hubbard U, the Materials Project).

Structure (POSCAR):
```
LiYMo2O8
1.0
-2.602 2.602 5.621
2.602 -2.602 5.621
2.602 2.602 -5.621
O Y Mo Li
8 1 2 1
Cartesian
1.805 1.284 1.813 O
1.299 0.834 -0.949 O
1.768 -1.303 6.570 O
1.318 -0.797 3.808 O
1.284 3.399 -1.813 O
1.303 1.768 4.672 O
0.834 3.905 0.949 O
0.797 1.318 7.434 O
0.000 0.000 5.621 Y
0.000 0.000 0.000 Mo
2.602 0.000 2.810 Mo
0.000 2.602 2.810 Li
```

Calculated values
**Distance to the lowest polymorph of the same formula**: 8 meV/atom
**DFT total energy**: -7.3101 eV/atom
**M_tot**: 0.00 μB per cell
**ΔE_f**: -2.498 eV/atom
**Crystal system**: tetragonal

3.
# LiYMo2O8

A relaxed structure of LiYMo2O8 (PBE with a Hubbard U, the Materials Project).

Structure (POSCAR):
```
LiYMo2O8
1.0
5.048 0.000 0.000
-2.351 6.325 0.000
-1.884 -2.192 9.473
O Li Y Mo
16 2 2 4
Cartesian
0.073 2.613 0.534 O
0.408 4.112 8.040 O
-1.672 3.051 5.663 O
0.740 1.521 8.939 O
2.937 3.401 2.235 O
0.793 2.254 6.089 O
0.300 -0.839 4.085 O
2.485 1.082 3.810 O
0.483 -0.666 6.921 O
-2.067 3.315 8.368 O
0.020 1.880 3.384 O
2.880 0.818 1.105 O
0.330 4.800 2.553 O
0.405 0.021 1.434 O
0.513 4.972 5.388 O
-2.124 0.733 7.238 O
-0.572 -1.041 9.007 Li
1.385 5.174 0.466 Li
-0.845 0.754 5.372 Y
1.658 3.379 4.102 Y
-0.692 4.348 6.637 Mo
1.505 -0.214 2.836 Mo
-1.011 2.054 1.780 Mo
1.824 2.080 7.693 Mo
```

Calculated values
**Distance to the lowest polymorph of the same formula**: 22 meV/atom
**DFT total energy**: -7.2962 eV/atom
**M_tot**: 0.00 μB per cell
**ΔE_f**: -2.484 eV/atom
**Crystal system**: triclinic

Please write out number 3 again, unchanged.
# LiYMo2O8

A relaxed structure of LiYMo2O8 (PBE with a Hubbard U, the Materials Project).

Structure (POSCAR):
```
LiYMo2O8
1.0
5.048 0.000 0.000
-2.351 6.325 0.000
-1.884 -2.192 9.473
O Li Y Mo
16 2 2 4
Cartesian
0.073 2.613 0.534 O
0.408 4.112 8.040 O
-1.672 3.051 5.663 O
0.740 1.521 8.939 O
2.937 3.401 2.235 O
0.793 2.254 6.089 O
0.300 -0.839 4.085 O
2.485 1.082 3.810 O
0.483 -0.666 6.921 O
-2.067 3.315 8.368 O
0.020 1.880 3.384 O
2.880 0.818 1.105 O
0.330 4.800 2.553 O
0.405 0.021 1.434 O
0.513 4.972 5.388 O
____________

This was an interesting topic to end the lecture series of the year. It has been great getting faculty from different field to come talk to us.